Time To Rebuild [CSD PP Platform]

Day 656, 15:58 Published in Canada Canada by Trenton Rendell

It's time to rebuild The Canadian Social Democrats.

We all changed when Canada fell, The destruction of eCanada has brought out the patriot in all of us.
We have grown into a Nation of one, One People united under One Banner all fueled by One cause.
To regain the eCanada we once had.

But the first thing you must do when the Jenga pieces fall is you need to rebuild and start the game all over again.

I remember a time when the CSD was the largest party in eCanada the 12th largest in the eWorld with over 500 members. But that was a long time ago.

-To rebuild a Party you need Party members-
We have over 4000 citizens living in Canada, and of that 4000+ only around 600 are members of a party
As your President, I will make Party Recruitment my number one priority. I will a team to get articles published, Ads made, send PMs to party less Citizens all in the hopes that soon the CSD can return to the top of Canadian politics.

-To rebuild a Party you must rebuild the Forums-
The heart of the party, The one place that we party members can meet up and discuss the party.
And what we do with the party herself,
As with Party Recruitment I will do the same to promote our forums which can be found at:
Also with the rebuilding of our forums. I will encourage to actively participate in forum discussions.
to help with the Party`s success.
And I will manage our forum so when it comes down to who we are running for congress or running for Prime Minister and not make last minute decisions. I will also see to it that that the CSD supports a fellow CSD as Prime Minister.

-Notre parti est votre parti-
I was the first to stress French participation in the party as well as the one who suggested opening a French section to the eCanada forums.
And if elected I will continue to push French activity on our Forums and Party.

-One Country, Many Views-
We can't do anything alone we must be able to communicate with the other parties. I have strong connections in every party in eCanada I`m well liked by many and I believe under my leadership we will be able to talk and discuss issues and matters with the other parties.

[Here the article breaks off for calculated crystals]
'''
Entry 1:
GeCN (PBE, optimized geometry); excess energy over the best structure of this formula in the dataset = 0.391 eV per formula unit; VASP energy = -6.74 eV per atom; SG = Pmm2; raw formation energy = 63 kJ/mol of atoms; calculated density = 4.3 g cm⁻³
1.0
2.9038 0.0000 0.0000
0.0000 3.2513 0.0000
0.0000 0.0000 4.0085
Ge C N
1 1 1
direct
0.0000 0.0000 0.0000
0.0000 0.5000 0.3353
0.0000 0.5000 0.6425

Entry 2:
Ca2TbHfSb4 (PBE, optimized geometry); VASP energy = -5.23 eV per atom; SG = P2/m; raw formation energy = -81 kJ/mol of atoms; calculated density = 6.3 g cm⁻³
1.0
7.5018 0.0000 0.0000
0.0000 4.3010 0.0000
-2.4629 0.0000 7.3999
Ca Tb Hf Sb
2 1 1 4
direct
0.0000 0.0000 0.0000
0.5000 0.5000 0.0000
0.0000 0.5000 0.5000
0.5000 0.0000 0.5000
0.2581 0.0000 0.7341
0.2703 0.5000 0.2733
0.7297 0.5000 0.7267
0.7419 0.0000 0.2659

Entry 3:
Sm3Dy4Cd (PBE, optimized geometry); E_form = -0.5 eV per formula unit; excess energy over the best structure of this formula in the dataset = 0.000 eV per formula unit; VASP energy = -4.25 eV per atom; SG = P4/mmm; calculated density = 8.1 g cm⁻³
1.0
3.5916 0.0000 0.0000
0.0000 3.5916 0.0000
0.0000 0.0000 19.2546
Sm Dy Cd
3 4 1
direct
0.0000 0.0000 0.0000
0.0000 0.0000 0.2632
0.0000 0.0000 0.7368
0.5000 0.5000 0.1316
0.5000 0.5000 0.3935
0.5000 0.5000 0.6065
0.5000 0.5000 0.8684
0.0000 0.0000 0.5000

Entry 4:
Pm2Sm15Tm2 (PBE, optimized geometry); E_form = 5.5 eV per formula unit; VASP energy = -4.41 eV per atom; SG = R-3m; calculated density = 7.3 g cm⁻³
1.0
5.5691 3.2153 6.0896
-5.5691 3.2153 6.0896
0.0000 -6.4306 6.0896
Pm Sm Tm
2 15 2
direct
0.0910 0.0910 0.0910
0.9090 0.9090 0.9090
0.0000 0.0000 0.5000
0.0000 0.2996 0.7004
0.0000 0.5000 0.0000
0.0000 0.7004 0.2996
0.1563 0.6178 0.6178
0.2996 0.0000 0.7004
0.2996 0.7004 0.0000
0.3822 0.3822 0.8437
0.3822 0.8437 0.3822
0.5000 0.0000 0.0000
0.6178 0.1563 0.6178
0.6178 0.6178 0.1563
0.7004 0.0000 0.2996
0.7004 0.2996 0.0000
0.8437 0.3822 0.3822
0.3141 0.3141 0.3141
0.6859 0.6859 0.6859

Entry 5:
Li6Gd (PBE, optimized geometry); E_form = 2.6 eV per formula unit; VASP energy = -3.29 eV per atom; SG = Im-3m; calculated density = 2.0 g cm⁻³
1.0
-3.4540 3.4540 3.4540
3.4540 -3.4540 3.4540
3.4540 3.4540 -3.4540
Li Gd
6 1
direct
0.2500 0.5000 0.7500
0.2500 0.7500 0.5000
0.5000 0.2500 0.7500
0.5000 0.7500 0.2500
0.7500 0.2500 0.5000
0.7500 0.5000 0.2500
0.0000 0.0000 0.0000

Entry 6:
Ba8Sn2Pb (PBE, optimized geometry); E_form = -4.5 eV per formula unit; VASP energy = -2.87 eV per atom; SG = C2/m; calculated density = 4.9 g cm⁻³
1.0
10.9736 -2.9540 0.0000
10.9736 2.9540 0.0000
-2.3681 0.0000 8.0576
Ba Sn Pb
8 2 1
direct
0.0317 0.0317 0.2858
0.2079 0.2079 0.8131
0.3360 0.3360 0.5441
0.4060 0.4060 0.0582
0.5940 0.5940 0.9418
0.6640 0.6640 0.4559
0.7921 0.7921 0.1869
0.9683 0.9683 0.7142
0.1886 0.1886 0.2148
0.8114 0.8114 0.7852
0.5000 0.5000 0.5000

Entry 7:
'''

-My Resume-
And to show I am capable in running our party here`s my resume:
- 6 time Congressmen
- 5 time Hard Worker
- Minister of Industries
- Deputy Minister of Defense
- Former President of the CSD
- Current Minister of Immigration and Citizenship.

-Under my leadership-
We will rebuild the CSD for the future, Rebuild us to a greater political influence in Canada
And rebuild the CSD in greater and bigger party.

-Lets Rebuild-
-Vote Trenton-

Materials data, kept here for reference:
/*
No. 1
A plane-wave DFT calculation with PBE-GGA was carried out for DyY8Mg2 after structural relaxation.

excess energy over the best structure of this formula in the dataset	0.0	meV per atom

Lattice parameters (Å, degrees): 8.7140 8.7140 8.4367 114.18 114.18 35.83
Last column: nearest neighbours and their distance in Å.
Atoms (fractional coordinates):
Dy  0.0000  0.0000  0.0000  8 Y 3.31-3.59
Y  0.1017  0.1017  0.4720  3 Mg 3.30-3.31, 1 Dy 3.59, 4 Y 3.60-3.68
Y  0.1884  0.1884  0.9535  1 Mg 3.18, 5 Y 3.26-3.51, 1 Dy 3.31
Y  0.3519  0.3519  0.7943  3 Mg 3.23-3.31, 2 Y 3.51-3.58, 2 Dy 3.54
Y  0.4431  0.4431  0.2641  1 Mg 3.30, 7 Y 3.44-3.64
Y  0.5569  0.5569  0.7359  1 Mg 3.30, 7 Y 3.44-3.64
Y  0.6481  0.6481  0.2057  3 Mg 3.23-3.31, 2 Y 3.51-3.58, 2 Dy 3.54
Y  0.8116  0.8116  0.0465  1 Mg 3.18, 5 Y 3.26-3.51, 1 Dy 3.31
Y  0.8983  0.8983  0.5280  3 Mg 3.30-3.31, 1 Dy 3.59, 4 Y 3.60-3.68
Mg  0.2736  0.2736  0.3707  8 Y 3.18-3.31
Mg  0.7264  0.7264  0.6293  8 Y 3.18-3.31

=====

No. 2
A plane-wave DFT calculation with PBE-GGA was carried out for DyY5Mg after structural relaxation.

excess energy over the best structure of this formula in the dataset	0.0	meV per atom

Lattice parameters (Å, degrees): 8.8646 8.8646 10.3831 123.61 123.61 42.80
Last column: nearest neighbours and their distance in Å.
Atoms (fractional coordinates):
Dy  0.0000  0.5000  0.0000  8 Y 3.38-3.74, 2 Mg 3.72
Dy  0.5000  0.0000  0.5000  8 Y 3.38-3.74, 2 Mg 3.72
Y  0.0452  0.9548  0.2500  1 Mg 2.99, 2 Y 3.35
Y  0.0698  0.5907  0.4216  1 Mg 3.28, 5 Y 3.30-3.57
Y  0.1707  0.6455  0.8938  2 Mg 3.07-3.44, 3 Y 3.30-3.36, 1 Dy 3.38
Y  0.3545  0.8293  0.6062  2 Mg 3.07-3.44, 3 Y 3.30-3.36, 1 Dy 3.38
Y  0.4093  0.9302  0.0784  1 Mg 3.28, 5 Y 3.30-3.57
Y  0.5907  0.0698  0.9216  1 Mg 3.28, 5 Y 3.30-3.57
Y  0.6455  0.1707  0.3938  2 Mg 3.07-3.44, 3 Y 3.30-3.36, 1 Dy 3.38
Y  0.8293  0.3545  0.1062  2 Mg 3.07-3.44, 3 Y 3.30-3.36, 1 Dy 3.38
Y  0.9302  0.4093  0.5784  1 Mg 3.28, 5 Y 3.30-3.57
Y  0.9548  0.0452  0.7500  1 Mg 2.99, 2 Y 3.35
Mg  0.4921  0.5079  0.7500  5 Y 2.99-3.28
Mg  0.5079  0.4921  0.2500  5 Y 2.99-3.28

=====

No. 3
A plane-wave DFT calculation with PBE-GGA was carried out for DyY7Mg4 after structural relaxation.

Lattice parameters (Å, degrees): 8.0690 8.0690 9.7614 119.59 119.59 41.75
Last column: nearest neighbours and their distance in Å.
Atoms (fractional coordinates):
Dy  0.0000  0.0000  0.0000  2 Y 2.88
Y  0.0780  0.0780  0.4218  5 Mg 3.17-3.49, 2 Y 3.42-3.47
Y  0.2042  0.2042  0.8795  4 Mg 3.50-3.86, 7 Y 3.50-3.82, 1 Dy 3.83
Y  0.2530  0.2530  0.2935  4 Mg 3.06-3.24, 1 Dy 3.35
Y  0.5000  0.5000  0.0000  2 Dy 2.88, 2 Mg 2.98
Y  0.7470  0.7470  0.7065  4 Mg 3.06-3.24, 1 Dy 3.35
Y  0.7958  0.7958  0.1205  4 Mg 3.50-3.86, 7 Y 3.50-3.82, 1 Dy 3.83
Y  0.9220  0.9220  0.5782  5 Mg 3.17-3.49, 2 Y 3.42-3.47
Mg  0.3245  0.3245  0.6557  5 Y 2.98-3.24, 1 Mg 3.07
Mg  0.4582  0.4582  0.3007  4 Y 3.06-3.31, 2 Mg 3.07-3.40
Mg  0.5418  0.5418  0.6993  4 Y 3.06-3.31, 2 Mg 3.07-3.40
*/

Thank You